National 4×4 Outdoors Show on this weekend

Elijah on his first day fishing. He didn’t catch anything but you couldn’t wipe the smile off his face.
It’s that time again!
This column along with National 4×4 Outdoors Show, Fishing & Boating Expo and My Big Catch Has 10 double passes to give away.
The 2019 National 4×4 Outdoors Show, Fishing & Boating Expo, will be held at the Melbourne Showgrounds, August 16-18.
All you have to do is send in your favourite picture of your most recent catch to [email protected].
Pics must be in .jpg format of at least one meg in size.
The first 10 senders of a photo will win a double pass to this event.
So, get those entries in if you wish to enjoy the fantastic 4×4 Outdoor Fishing and Boating show. Winners will be notified via email.
Fisheries warning
Inserted here: records of molecules:
- - -
[1]
DFT (ωB97M-V with the def2-TZVPD basis set) results for a single C4H10N2O molecule.

Structure (XYZ):
```
17
Properties=species:S:1:pos:R:3
C -1.361 1.028 1.009
N -0.853 -0.288 0.593
C -0.036 -0.883 1.508
O 0.096 -0.504 2.647
C -0.580 -0.434 -0.846
C 0.732 0.175 -1.319
N 1.877 -0.300 -0.560
H -1.484 1.681 0.146
H -0.665 1.499 1.701
H -2.385 0.937 1.376
H 0.409 -1.808 1.122
H -0.666 -1.481 -1.109
H -1.407 0.096 -1.306
H 0.867 -0.008 -2.394
H 0.712 1.263 -1.257
H 2.064 -1.280 -0.669
H 2.679 0.306 -0.643
```

Properties
orbital gap: 0.3693 hartree
SMILES string: CN(C=O)CCN
HOMO: -9.18 eV


[2]
DFT (ωB97M-V with the def2-TZVPD basis set) results for a single C4H10N2O molecule.

Structure (XYZ):
```
17
Properties=species:S:1:pos:R:3
N 0.755 -0.284 -2.783
C -0.013 0.900 -2.357
C 0.285 1.016 -0.877
N -0.369 -0.049 -0.096
C -0.383 0.218 1.316
C -0.199 -1.006 2.170
O -0.004 -0.996 3.353
H 0.378 -0.555 -3.764
H 0.461 -1.107 -2.230
H -1.088 0.912 -2.424
H 0.425 1.642 -3.068
H 0.083 2.070 -0.614
H 1.399 0.981 -0.848
H -1.331 -0.098 -0.460
H 0.318 0.947 1.701
H -1.330 0.661 1.773
H -0.206 -2.002 1.654
```

Properties
orbital gap: 0.3779 hartree
SMILES string: NCCNCC=O
HOMO: -9.42 eV


[3]
DFT (ωB97M-V with the def2-TZVPD basis set) results for a single C4H10N2O molecule.

Structure (XYZ):
```
17
Properties=species:S:1:pos:R:3
H 1.951 1.099 -0.560
N 1.715 0.391 -1.255
C 0.883 -0.422 -0.713
N 0.393 -0.299 0.553
C -0.553 0.761 0.889
C 0.090 2.134 0.944
O 0.524 -1.506 -1.433
C -0.640 -2.279 -1.115
H 0.062 -1.184 0.915
H -1.390 0.759 0.182
H -0.971 0.535 1.877
H -0.609 2.861 1.370
H 0.996 2.127 1.559
H 0.358 2.490 -0.056
H -0.399 -3.003 -0.332
H -1.473 -1.638 -0.813
H -0.937 -2.825 -2.015
```

Properties
orbital gap: 0.3595 hartree
SMILES string: [H]/N=C(\NCC)OC
HOMO: -9.06 eV


[4]
DFT (ωB97M-V with the def2-TZVPD basis set) results for a single C4H10N2O molecule.

Structure (XYZ):
```
17
Properties=species:S:1:pos:R:3
N -0.713 -2.445 0.820
C -0.282 -1.473 -0.234
C -0.091 0.011 0.389
N 1.236 0.160 1.043
C -0.181 0.948 -0.943
C 0.006 2.442 -0.582
O -0.696 3.130 0.185
H -1.689 -2.450 1.255
H -0.174 -2.771 1.534
H -0.929 -1.441 -1.117
H 0.828 -1.781 -0.436
H -0.816 0.072 1.092
H 1.323 1.063 1.324
H 1.834 0.174 0.226
H -1.090 0.970 -1.639
H 0.588 0.415 -1.671
H 0.847 2.976 -1.246
```

Properties
orbital gap: 0.3469 hartree
SMILES string: NC[C@@H](N)CC=O
HOMO: -8.77 eV


[5]
DFT (ωB97M-V with the def2-TZVPD basis set) results for a single C4H10N2O molecule.

Structure (XYZ):
```
17
Properties=species:S:1:pos:R:3
C 0.901 0.271 -2.050
N 0.474 0.319 -0.681
C 1.465 0.064 0.365
C -0.858 0.345 -0.382
O -1.656 0.842 -1.171
C -1.321 0.216 1.060
N -1.090 -1.062 1.709
H 0.195 0.652 -2.775
H 1.877 0.755 -2.115
H 1.120 -0.759 -2.376
H 1.678 0.891 0.991
H 2.326 -0.359 -0.144
H 1.053 -0.687 1.043
H -0.865 1.040 1.616
H -2.383 0.461 1.029
H -1.574 -1.777 1.204
H -1.343 -1.211 2.675
```

Properties
orbital gap: 0.3592 hartree
SMILES string: CN(C)C(=O)CN
HOMO: -8.92 eV


[6]
- - -
Two men were arrested by Fisheries Officers and Investigators in Melbourne’s western suburbs on recently for allegedly buying and selling fish illegally.
Victorian Fisheries Authority (VFA) Manager Statewide Investigations Group Brooke Hall said wholesale and retail premises were searched and a quantity of calamari squid was seized, along with a boat, fishing equipment and a Toyota four-wheel-drive vehicle belonging to one of the men.
A reminder is given to all that recreational fishers are not allowed to sell their catch. Only licensed commercial fishers can do that.
“Taking fish and unlawfully selling them into the retail chain undermines licensing arrangement for legitimate commercial fishers and puts their livelihoods at risk.
“Commercial fishers also comply with safe food handling practises so that seafood consumers are not put at risk.
“People acting as unlicensed commercial fishers are taking unregulated quantities of fish and have the potential to affect the sustainable management of Victoria’s valuable fisheries resources.”
“We know most recreational fishers do the right thing and don’t sell their catch, instead simply enjoying what’s been a great season for calamari squid in Port Phillip and Western Port.”
“Serious penalties apply including up to 10 years imprisonment, and the possible forfeiture of seized items.”
Fisheries are keen to hear from the public about any unlawful trade in fish or other seafood.
To report suspicious or illegal fishing activity call 13FISH (133474) anytime. You can remain anonymous. Make the call and make the difference.
Meanwhile, if you see or suspect illegal fishing activity any time, phone the 24-hour reporting line 13 FISH (13 3474).
Club Corner
### Between two parts of the piece: data records
********
No. 1
20
Properties=species:S:1:pos:R:3:forces:R:3:mulliken_charge:R:1 method="wB97M-V/def2-TZVPD" homo_ev=-14.64 total_charge=+1 orbital_gap_ev=11.09 lumo_ev=-3.544 energy_ha=-439.7980
O -2.344819 1.338370 0.532498 -1.4 0.6 1.5 -0.46
C -2.047347 0.775169 -0.623088 -3.1 -3.7 -1.8 0.47
C -0.794717 -0.304751 -0.530033 -1.2 3.8 -2.3 -0.45
N 0.325282 0.477830 0.156071 0.9 -1.3 -1.9 -0.20
C 1.690058 -0.274994 -0.059067 -1.5 -2.4 -0.2 -0.58
C 2.254831 -0.391428 -1.510342 -1.3 -0.9 -0.1 -0.82
O -2.879974 0.692157 -1.534960 2.9 0.5 1.8 -0.50
H -3.362765 1.441507 0.635827 2.3 0.1 -0.7 0.40
H -0.603238 -0.317745 -1.683847 0.1 -1.0 2.4 0.29
H -1.104609 -1.194369 0.063111 0.4 0.7 -0.8 0.39
H 0.038028 0.547422 1.143002 0.5 -0.1 0.1 0.42
H 0.352886 1.398546 -0.300390 0.2 -0.2 0.4 0.40
H 2.424732 0.050086 0.605384 0.8 1.2 1.2 0.55
H 1.446475 -1.305983 0.311438 0.0 0.9 -0.3 0.30
H 3.226523 0.118093 -1.574301 -0.4 -0.2 -0.1 0.31
H 2.368727 -1.535814 -1.812922 -0.3 2.7 0.5 0.26
H 1.495212 0.135791 -2.157537 1.1 -0.8 0.0 0.26
H -0.341295 -1.057995 3.088940 1.9 -2.4 3.7 0.25
H -1.402026 -0.005355 2.801259 -0.6 0.2 0.7 0.29
O -0.741964 -0.586537 2.448956 -1.4 2.2 -4.2 -0.55

=====

No. 2
21
Properties=species:S:1:pos:R:3:forces:R:3:mulliken_charge:R:1 method="wB97M-V/def2-TZVPD" homo_ev=-3.03 total_charge=-1 orbital_gap_ev=6.52 lumo_ev=3.490 energy_ha=-838.2741
C 1.683341 -1.162301 -0.613833 0.2 -0.6 -1.0 -0.88
N 0.786712 -0.972617 -1.769344 -1.2 -0.1 0.9 -0.58
C -0.398992 -0.136455 -1.370893 0.8 -0.1 0.9 0.33
C 0.009073 1.346284 -1.151415 -0.4 0.3 0.0 -1.06
S 0.320447 2.021864 0.522027 0.0 -0.2 0.2 -0.55
C -1.066305 -0.770307 -0.159764 -0.7 -0.7 0.1 -0.10
O -1.269467 -1.964450 -0.077526 0.2 0.1 -0.2 -0.56
H 1.894935 -0.214687 -0.147246 0.1 0.3 0.6 0.23
H 2.616247 -1.603077 -0.980822 0.0 0.1 -0.1 0.34
H 1.262441 -1.896266 0.060907 -0.2 0.2 0.3 0.34
H 1.262834 -0.337010 -2.358686 0.7 0.4 -1.0 0.28
H -1.147884 -0.185856 -2.166194 0.0 -0.1 -0.2 0.28
H -0.727832 2.013169 -1.600889 -0.3 -0.2 -0.1 0.30
H 0.887418 1.493771 -1.771749 0.4 0.1 -0.1 0.30
H -1.452118 -0.145489 0.650086 0.2 0.5 -0.2 0.39
H 1.807525 -0.474768 2.130257 0.3 0.5 -0.7 0.29
H 1.003013 -0.602866 3.362342 -0.3 -0.1 -0.1 0.27
O 1.106540 -1.005119 2.492584 -0.1 -0.4 0.8 -0.57
H -2.352675 1.600135 2.201673 0.2 -0.4 0.2 0.31
H -3.110168 1.794443 0.990923 -0.2 -0.4 -0.1 0.32
O -3.115086 1.201603 1.757561 0.1 0.8 -0.1 -0.67

=====

No. 3
22
Properties=species:S:1:pos:R:3:forces:R:3:mulliken_charge:R:1 method="wB97M-V/def2-TZVPD" homo_ev=-13.48 total_charge=+1 orbital_gap_ev=10.32 lumo_ev=-3.162 energy_ha=-590.2854
O -1.913406 0.153514 0.497059 0.0 -0.6 -0.8 -0.47
C -0.836305 0.627953 0.664190 2.0 2.4 2.4 -0.09
C 0.572615 -0.135133 0.646833 -1.8 1.0 -5.0 0.15
C 1.342047 0.134466 -0.745095 1.8 -1.7 1.4 -0.71
C 1.129192 1.461566 -1.337783 -2.0 3.8 -0.3 0.48
O 1.380657 1.619829 -2.627022 1.4 -3.9 -0.4 -0.46
O 0.577808 2.372129 -0.751065 0.6 -0.5 0.7 -0.55
N 0.321797 -1.587535 0.720741 4.7 -1.0 3.4 -0.31
********
### The data records stop here
If you are an angling club and you wish to let people know what’s going on within your club as well as help promote your club, email [email protected] and we will post your club news here
I would also like to remind everyone to keep those photos coming in of your big catch! Please forward them to [email protected], with type of fish, weight, length, location and your name. I am more than happy to place your photos in My Big Catch.
- Fishing conditions are still poor
- Salmon catches being reported off local beaches
- Reports of a few gummy shark being caught
- Reports of a few flathead and a few whiting
Barwon Heads
- Reports of a few snapper and pinkies still offshore when fishos can get out
- A few flathead offshore plus a few gummies
- Still a few reports of whiting, trevally and a few salmon in the river
- Salmon catches continue off local beaches.
- A few whiting have been caught offshore
- Salmon are being reported off local beaches
- Bream still being caught in Spring Creek.
- St Leonards has reports of King George whiting, flathead and squid and possibly a few gummy sharks
- Clifton Springs reports of few squid, a few whiting, and some flathead
- Queenscliff sees reports of whiting, flathead, salmon and squid offshore
- Reports of a few small salmon and some trevally being caught in the creek
- Swan Bay reports a few squid and some flathead
- Point Lonsdale has reports of salmon and the chance of a garfish
- The White Lady has reports of whiting, some squid and a few gummies
- Indented Head has snapper, some good flathead and King George whiting a few good squid are being reported.